Since we've started this Blog firstly I'm glad that
so many people have viewed it. It's well over 500 views so that has
motivated me to keep putting up content. This doesn't mean that I will
just post things for no reason but I noticed that the most viewed blog post
we've done so far had fewer pictures and just an explanation of what was going
on so I thought I'd try that again only this time with no photos. I don't
mind telling everyone honestly this has been far more difficult in some ways
Calculated crystals, kept here for reference:
Entry 1:
Below is a relaxed ErPuNi4 crystal, with properties calculated at the GGA-PBE level.

SG: F-43m, No. 216
E_form (eV/atom): -0.34

Lattice parameters (Å, degrees): 5.0473 5.0473 5.0473 60.00 60.00 60.00
Site moments in Bohr magnetons follow the coordinates.
Fractional positions:
Er  0.2500  0.2500  0.2500  0.28
Ni  0.1238  0.6254  0.6254  -0.12
Pu  0.0000  0.0000  0.0000  5.13
Ni  0.6254  0.6254  0.1238  -0.12
Ni  0.6254  0.6254  0.6254  -0.12
Ni  0.6254  0.1238  0.6254  -0.12

=====

Entry 2:
Below is a relaxed Er2PuNi crystal, with properties calculated at the GGA-PBE level.

Excess energy over the best structure of this formula in the dataset (meV/atom): 295
SG: R-3m, No. 166
E_form (eV/atom): 0.16

Lattice parameters (Å, degrees): 3.4683 3.4683 10.4693 80.47 80.47 60.00
Site moments in Bohr magnetons follow the coordinates.
Fractional positions:
Er  0.8913  0.8913  0.3260  -0.02
Er  0.1087  0.1087  0.6740  -0.02
Pu  0.0000  0.0000  0.0000  -5.77
Ni  0.5000  0.5000  0.5000  -0.01

=====

Entry 3:
Below is a relaxed ErPu2Ni crystal, with properties calculated at the GGA-PBE level.

Excess energy over the best structure of this formula in the dataset (meV/atom): 243
SG: R-3m, No. 166
E_form (eV/atom): 0.32

Lattice parameters (Å, degrees): 3.4136 3.4136 10.2394 80.40 80.40 60.00
Site moments in Bohr magnetons follow the coordinates.
Fractional positions:
Er  0.0000  0.0000  0.0000  -0.01
Pu  0.8958  0.8958  0.3127  5.40
Ni  0.5000  0.5000  0.5000  -0.17
Pu  0.1042  0.1042  0.6873  5.40

=====

Entry 4:
Below is a relaxed ErPuNi crystal, with properties calculated at the GGA-PBE level.

Excess energy over the best structure of this formula in the dataset (meV/atom): 0
SG: I4mm, No. 107
E_form (eV/atom): -0.09

Lattice parameters (Å, degrees): 3.3572 3.3572 6.4469 105.09 105.09 90.00
Site moments in Bohr magnetons follow the coordinates.
Fractional positions:
Pu  0.0274  0.0274  0.0547  -5.44
Er  0.3002  0.3002  0.6004  -0.22
Ni  0.6725  0.6725  0.3449  -0.03

=====

Entry 5:
Below is a relaxed ErPuNi crystal, with properties calculated at the GGA-PBE level.

Excess energy over the best structure of this formula in the dataset (meV/atom): 196
SG: P3m1, No. 156
E_form (eV/atom): 0.10

Lattice parameters (Å, degrees): 3.5609 4.6274 4.6274 120.00 90.00 90.00
Site moments in Bohr magnetons follow the coordinates.
Fractional positions:
Pu  0.0737  0.0000  0.0000  5.39
Ni  0.3071  0.6667  0.3333  -0.07
Er  0.6193  0.3333  0.6667  0.32

=====

Entry 6:
Below is a relaxed Er2PuNi crystal, with properties calculated at the GGA-PBE level.

Excess energy over the best structure of this formula in the dataset (meV/atom): 0
SG: P4/mmm, No. 123
E_form (eV/atom): -0.13

Lattice parameters (Å, degrees): 3.3717 3.3717 8.4805 90.00 90.00 90.00
Site moments in Bohr magnetons follow the coordinates.
Fractional positions:
Ni  0.5000  0.5000  0.0000  0.02
Er  0.0000  0.0000  0.1903  0.20
Er  0.0000  0.0000  0.8097  0.20
Pu  0.5000  0.5000  0.5000  5.67

=====
than I ever imagined and then things that were such an ass pain when I came
here in 2006 have been a breeze. I had a 10 minute conversation on
the phone, this was the first time ever, with a German talking about purchasing
a cat for Madi, the cost, the shots, the age, when we could come and even
bartered about the final price. I wasn't perfect but he understood what I
was trying to say and even though he spoke very quickly I understood 95% of
what he said. You would think after an encounter like that for the first
time on the phone I'd feel confident but it just left me feeling shaken and
nervous. You wonder what you said wrong and what you could have said
differently. I didn't notice till I hung up that my mouth was completely
dry. I actually walked around the empty house like a runner does after a
race to walk it off.
This being said setting up my Internet was far
easier than I remember. Maybe my language helped a little here but I went
to the store they said it would work on a certain date and holy crap it worked.
In 2006 it took 5 weeks and two service calls, that you have to pay for
by the way, to get it to work and this time it took a 100 Euro modem and the
## What comes next are materials data, not part of the article
********
First-principles (PBE) data for an optimized crystal structure of RbSrAs3, as listed in Alexandria.

Cell lengths 5.788, 5.788, 5.788 Å; angles 90.00, 90.00, 90.00 degrees
Fractional positions:
Rb  0.000  0.000  0.000
Sr  0.500  0.500  0.500
As  0.000  0.500  0.500
As  0.500  0.000  0.500
As  0.500  0.500  0.000

The energy relative to the lowest polymorph listed for this composition comes out at 0 meV per atom.


First-principles (PBE) data for an optimized crystal structure of Rb3SrAs, as listed in Alexandria.

Cell lengths 7.839, 7.839, 7.839 Å; angles 90.00, 90.00, 90.00 degrees
Fractional positions:
Rb  0.000  0.000  0.500
Rb  0.000  0.500  0.000
Rb  0.500  0.000  0.000
Sr  0.000  0.000  0.000
As  0.500  0.500  0.500

The energy relative to the lowest polymorph listed for this composition comes out at 786 meV per atom.


First-principles (PBE) data for an optimized crystal structure of Rb3SrAs, as listed in Alexandria.

Cell lengths 6.864, 6.864, 6.864 Å; angles 90.00, 90.00, 90.00 degrees
Fractional positions:
Rb  0.000  0.000  0.500
Rb  0.000  0.500  0.000
Rb  0.500  0.000  0.000
Sr  0.500  0.500  0.500
As  0.000  0.000  0.000

The energy relative to the lowest polymorph listed for this composition comes out at 0 meV per atom.


First-principles (PBE) data for an optimized crystal structure of Rb2SrAs, as listed in Alexandria.

Cell lengths 6.192, 6.192, 6.192 Å; angles 60.00, 60.00, 60.00 degrees
Fractional positions:
Rb  0.250  0.250  0.250
Rb  0.750  0.750  0.750
Sr  0.000  0.000  0.000
As  0.500  0.500  0.500

The energy relative to the lowest polymorph listed for this composition comes out at 339 meV per atom.


First-principles (PBE) data for an optimized crystal structure of Rb2SrAs2, as listed in Alexandria.

Cell lengths 8.214, 8.214, 8.214 Å; angles 146.30, 146.30, 48.40 degrees
Fractional positions:
Rb  0.250  0.750  0.500
Rb  0.750  0.250  0.500
Sr  0.000  0.000  0.000
As  0.417  0.417  0.000
As  0.583  0.583  0.000

The energy relative to the lowest polymorph listed for this composition comes out at 111 meV per atom.


First-principles (PBE) data for an optimized crystal structure of RbSr2As, as listed in Alexandria.

Cell lengths 8.241, 8.241, 8.241 Å; angles 101.85, 101.85, 126.11 degrees
Fractional positions:
Rb  0.000  0.000  0.000
Rb  0.750  0.250  0.500
Sr  0.246  0.625  0.121
Sr  0.375  0.496  0.621
Sr  0.504  0.125  0.879
Sr  0.875  0.754  0.379
As  0.250  0.750  0.500
As  0.500  0.500  0.000

The energy relative to the lowest polymorph listed for this composition comes out at 222 meV per atom.


For the records above, the corresponding formation energy from the elements values read 0.342; 0.824; 0.037; 0.074; -0.351; -0.382 eV per atom.
For the records above, the corresponding calculated total energy values read -14.89; -5.12; -9.05; -7.97; -14.67; -10.51 eV/f.u..

~~~~~

1:
The following is a DFT calculation (GGA-PBE) of an optimized crystal structure of NaLaMg14.

Output
V, Å³/cell: 398
********
included software and bam I'm ready to go. This is actually the fastest
Internet I've ever used. We got our cell phones set up and since we
already had iPhones it was cheap and awesome.
40 Euro a month for each of us for unlimited calling in Germany, unlimited
text in Germany, unlimited data in Germany and free unlimited calling to the
states with a special code!!! This is
incredible. I spend almost $200 a month
for Madi and I for our phones in America and now I’m spending half that amount
for way better service. I do have a land
line as well in the bundle for my internet but I’m not sure if I’ll even hook
it up or buy a land line phone. As of
now I feel my cell is good enough but I may change that later.
So how do we feel?
Madi has been incredible. Nothing
has phased her until this cat thing. We
searched for and found the cat we both said, “holy cow that’s the cat”. So I had our friend Armin call initially and
set up a time to pick up the cat on Sunday.
I called 4 times Sunday and nothing.
Armin called at 1000 PM and asked how we liked the cat and I told him we
didn’t get the cat and he hung up on me and called. The woman was apologetic and said there was a
family emergency and for us to call back at 1530-1600 today, Monday. I did that and that was the call I spoke
about earlier in this post. The problem
was he said they couldn’t meet until tomorrow, Tuesday after 1800. Madi was so sad and I understood her
feelings. This is something we’ve been
waiting on for over a year and now it gets pushed off day after day. Madi has the cat bed, the cat box, the food
and the toys ready to go. All she needed
was her friend and yet she waits. I will say Madi did spend 3 hours today at School doing her Math and English placement tests and she totally rocked that. The school really looks even better than I even imagined. On Friday is the parent portion where I will get a tour and meet the principle.
(Next to the piece, the page also holds data records)
........
Record 1
KPuBr5 | PBE | relaxed

Calculated values
- Formation energy from raw total energies: -1408 meV per atom
- V: 577.3 Å³ per cell
- E: -4.81 eV per atom
- Density: 3.93 g/cm³

a b c (Å): 7.786 7.786 11.231
angles (deg): 70.23 70.23 68.26
Fractional positions:
Br (0.068, 0.932, 0.250)
K (0.534, 0.466, 0.750)
Br (0.932, 0.068, 0.750)
Br (0.627, 0.211, 0.504)
Br (0.677, 0.895, 0.120)
Br (0.373, 0.789, 0.496)
Pu (0.000, 0.000, 0.500)
Br (0.105, 0.323, 0.380)
Br (0.895, 0.677, 0.620)
Br (0.211, 0.627, 0.004)
Pu (0.000, 0.000, 0.000)
K (0.466, 0.534, 0.250)
Br (0.323, 0.105, 0.880)
Br (0.789, 0.373, 0.996)



Record 2
K2Pu3Br8 | PBE | relaxed

Calculated values
- Formation energy from raw total energies: -1498 meV per atom
- V: 437.0 Å³ per cell
- E: -6.00 eV per atom
- Density: 5.51 g/cm³

a b c (Å): 5.205 10.474 9.573
angles (deg): 123.15 90.00 90.00
Fractional positions:
Br (0.000, 0.614, 0.227)
Br (0.000, 0.893, 0.785)
K (0.500, 0.263, 0.527)
Pu (0.000, 0.264, 0.000)
Br (0.500, 0.126, 0.778)
K (0.500, 0.737, 0.473)
Pu (0.000, 0.736, 0.000)
Br (0.500, 0.652, 0.778)
Br (0.000, 0.107, 0.215)
Pu (0.500, 0.000, 0.000)
Br (0.500, 0.874, 0.222)
Br (0.500, 0.348, 0.222)
Br (0.000, 0.386, 0.773)
........
We miss you too dear friend.